How can we ensure a caring policy, also in crisis situations? (completed)
- Start: 2020
- Status: completed

The University of Humanistic Studies is developing a care-ethical policy framework to ensure a more caring and inclusive response to future (health) crises. This project is supported with a grant from ZonMw’s Covid19 Bottom-up Programme. The study is headed by Dr. Pieter Dronkers.
In the past months, the Dutch national government took a number of drastic measures. People who were already in a vulnerable position were hit particularly hard by the crisis policy; prohibiting elderly people from receiving visitors is one of many examples. At the same time, there is a renewed and widespread awareness of the importance of good care with a view to a resilient society.
The government’s crisis policy is now coming under increased criticism. Policy considerations are one-sided and often not well-considered from an ethical perspective. Also, vulnerable groups have barely any voice, if at all, in the policy-making process. In the coming two years, our Care Ethics research group will evaluate the crisis policy and will formulate an alternative framework for a care-ethical (crisis) policy framework that is better suited to a caring and inclusive society.
This new project consists of policy research into the crisis measures and an empirical examination of how people in a vulnerable position experienced these measures. Additionally, the study will survey the alternatives that people found with their caregivers and relatives to cope with the impact of the corona crisis. The goal is to develop a practicable policy framework that can be used in different sectors. However, the empirical research concentrates on four groups: people with a mental impairment and their relatives; elderly people and their informal carers; patients receiving palliative care and their relatives; and finally, refugees.
The insights obtained through the empirical study will constantly be discussed with stakeholders and policy makers, enabling the collective creation of an alternative policy framework.
- Dr. Pieter Dronkers (research leader)
- Prof. Carlo Leget (principal applicant)
- Dr. Adrienne de Ruiter
== Quantum chemistry results, as found in the file ==
=====
# 1
Entry from the OMol25 dataset: one molecule with the formula C21H22N2O4 in a non-equilibrium geometry (ωB97M-V/def2-TZVPD).

Computed properties:
E_HOMO ... -0.3035 Eh
Molecular weight ... 366.42 g mol⁻¹
SMILES ... Cc1ccc(CN2C(=O)CC[C@@H]2C(=O)NCc2ccc3c(c2)OCO3)cc1
ΔE to the lowest compared entry with this formula, charge and spin ... 1.081 eV
LUMO level ... 0.73 eV
Kohn-Sham gap ... 9.0 eV

Atoms and positions in Å:
1 C 1.008 -3.427 1.835
2 C 1.200 -1.978 1.510
3 C 0.420 -0.996 2.105
4 C 0.648 0.344 1.848
5 C 1.680 0.735 1.007
6 C 1.974 2.196 0.781
7 N 1.383 2.719 -0.432
8 C 0.404 3.653 -0.439
9 O -0.161 4.083 0.542
10 C 0.140 4.034 -1.890
11 C 1.336 3.464 -2.650
12 C 1.839 2.325 -1.741
13 C 1.246 0.993 -2.232
14 O 1.835 0.292 -3.027
15 N 0.002 0.749 -1.785
16 C -0.769 -0.402 -2.200
17 C -1.386 -1.135 -1.039
18 C -1.222 -2.504 -0.908
19 C -1.815 -3.224 0.127
20 C -2.557 -2.513 1.035
21 C -2.725 -1.132 0.915
22 C -2.161 -0.425 -0.116
23 O -3.505 -0.677 1.942
24 C -3.824 -1.812 2.718
25 O -3.223 -2.955 2.148
26 C 2.450 -0.246 0.392
27 C 2.205 -1.583 0.634
28 H 1.788 -3.757 2.523
29 H 0.044 -3.599 2.306
30 H 1.079 -4.036 0.937
31 H -0.365 -1.282 2.789
32 H 0.032 1.095 2.321
33 H 1.561 2.794 1.598
34 H 3.058 2.352 0.733
35 H 0.042 5.114 -1.983
36 H -0.803 3.585 -2.209
37 H 1.078 3.099 -3.643
38 H 2.113 4.222 -2.754
39 H 2.929 2.231 -1.768
40 H -0.381 1.324 -1.050
41 H -0.090 -1.051 -2.757
42 H -1.567 -0.069 -2.880
43 H -0.622 -3.033 -1.633
44 H -1.695 -4.290 0.216
45 H -2.325 0.637 -0.199
46 H -4.917 -1.944 2.746
47 H -3.451 -1.673 3.746
48 H 3.254 0.036 -0.271
49 H 2.815 -2.332 0.152

# 2
Entry from the OMol25 dataset: one molecule with the formula C21H22N2O4 in a non-equilibrium geometry (ωB97M-V/def2-TZVPD).

Computed properties:
E_HOMO ... -0.2911 Eh
Molecular weight ... 366.42 g mol⁻¹
SMILES ... C/C=C1/CN(C=O)[C@H]2Cc3c([nH]c4ccccc34)C(=O)C[C@@H]1[C@@H]2C(=O)OC
ΔE to the lowest compared entry with this formula, charge and spin ... 6.067 eV
LUMO level ... 0.06 eV
Kohn-Sham gap ... 8.0 eV

Atoms and positions in Å:
1 C -2.679 3.811 -1.476
2 C -2.094 3.331 -0.282
3 C -1.084 2.387 -0.038
4 C -0.694 2.210 1.470
5 N 0.227 1.060 1.660
6 C 0.400 0.424 2.890
7 O -0.356 0.698 3.873
8 C 1.251 0.773 0.617
9 C 1.490 -0.837 0.380
10 C 0.157 -1.602 0.632
11 C -1.147 -1.247 0.315
12 N -1.896 -2.334 0.573
13 C -1.265 -3.351 1.168
14 C -1.598 -4.626 1.555
15 C -0.677 -5.415 2.354
16 C 0.616 -4.944 2.566
17 C 1.062 -3.766 1.931
18 C 0.083 -2.904 1.250
19 C -1.488 -0.296 -0.739
20 O -2.598 -0.422 -1.096
21 C -0.688 0.488 -1.703
22 C -0.144 1.899 -1.144
23 C 1.224 1.700 -0.699
24 C 2.331 1.447 -1.751
25 O 3.449 1.099 -1.266
26 O 1.954 1.490 -3.097
27 C 3.009 1.698 -4.063
28 H -1.979 3.702 -2.317
29 H -3.126 4.913 -1.367
30 H -3.532 3.151 -1.660
31 H -2.605 3.563 0.667
32 H -0.233 3.156 1.946
33 H -1.577 1.925 2.061
34 H 0.899 -0.568 2.846
35 H 2.242 1.157 1.070
36 H 1.971 -1.032 -0.533
37 H 2.132 -1.256 1.159
38 H -2.879 -2.299 0.288
39 H -2.562 -4.976 1.706
=====
- Dr. Alistair Niemeijer
- Dr. Els van Wijngaarden
Societal partners include Actiz, Dokters van de Wereld, the cooperative Palliatieve Zorg Nederland, Reliëf, Pharos and the Tao of Care.(Co-)financing
This project is supported by a grant through ZonMw’s Covid19 Bottom-up Programme.
Also see
- Article + final report 'Zorgzaam uit de crisis' (in Dutch)
- Covid 19 onderzoeksubsidie: Hoe blijft ons beleid zorgzaam, ook in crisissituaties? (press release in Dutch)
- ZonMw project page (in Dutch)
Dr. Pieter Dronkers,
The University of Humanistic Studies is developing a care-ethical policy framework to ensure a more caring and inclusive response to future (health) crises.